A plane-wave DFT calculation with PBE-GGA was carried out for crystalline NaScZnS3O12 at its relaxed geometry.

Energy relative to the elements   -2.27 eV per atom
Magnetic moment   0.0 μB per formula unit

Cell lengths 8.7351, 8.7351, 22.9569 Å; angles 90.00, 90.00, 120.00 degrees
Atoms (fractional coordinates):
S 0.6635 0.6246 0.5839
S 0.9969 0.2912 0.2506
S 0.9610 0.3365 0.5839
S 0.6635 0.0390 0.0839
S 0.3302 0.3723 0.4173
S 0.3302 0.9579 0.9173
S 0.9610 0.6246 0.0839
S 0.7088 0.7056 0.2506
S 0.3754 0.3365 0.0839
S 0.2944 0.2912 0.7506
S 0.6277 0.6698 0.9173
S 0.0421 0.3723 0.9173
S 0.2944 0.0031 0.2506
S 0.7088 0.0031 0.7506
S 0.9969 0.7056 0.7506
S 0.6277 0.9579 0.4173
S 0.0421 0.6698 0.4173
S 0.3754 0.0390 0.5839
O 0.2140 0.1854 0.8032
O 0.3047 0.8521 0.9699
O 0.7904 0.8165 0.1978
O 0.9760 0.1733 0.5895
O 0.8146 0.7860 0.3032
O 0.5474 0.8521 0.4699
O 0.0261 0.2096 0.1978
O 0.6885 0.5285 0.2437
O 0.8400 0.3115 0.2437
O 0.2140 0.0286 0.3032
O 0.8048 0.8266 0.9104
O 0.3595 0.8763 0.8645
O 0.4812 0.3619 0.1366
O 0.9714 0.1854 0.3032
O 0.6928 0.1499 0.0312
O 0.3595 0.4832 0.3645
O 0.3093 0.4694 0.7562
O 0.6427 0.1361 0.4228
O 0.8267 0.8028 0.5895
O 0.0261 0.8165 0.6978
O 0.4715 0.3115 0.7437
O 0.4934 0.1361 0.9228
O 0.5168 0.8763 0.3645
O 0.1835 0.9739 0.1978
O 0.8501 0.5429 0.0312
O 0.4934 0.3573 0.4228
O 0.8639 0.3573 0.9228
O 0.4812 0.1193 0.6366
O 0.5474 0.6953 0.9699
O 0.3047 0.4526 0.4699
O 0.9714 0.7860 0.8032
O 0.1972 0.1733 0.0895
O 0.6427 0.5066 0.9228
O 0.8146 0.0286 0.8032
O 0.8048 0.9782 0.4104
O 0.1381 0.6448 0.0771
O 0.8267 0.0240 0.0895
O 0.1734 0.1952 0.4104
O 0.4715 0.1600 0.2437
O 0.9760 0.8028 0.0895
O 0.4571 0.3072 0.0312
O 0.5168 0.6405 0.8645
O 0.8639 0.5066 0.4228
O 0.1835 0.2096 0.6978
O 0.8807 0.5188 0.1366
O 0.1972 0.0240 0.5895
O 0.0218 0.1952 0.9104
O 0.6381 0.5188 0.6366
O 0.1734 0.9782 0.9104
O 0.7904 0.9739 0.6978
O 0.3093 0.8399 0.2562
O 0.1237 0.4832 0.8645
O 0.6928 0.5429 0.5312
O 0.1479 0.6953 0.4699
O 0.6381 0.1193 0.1366
O 0.0218 0.8266 0.4104
O 0.1237 0.6405 0.3645
O 0.3552 0.8619 0.5771
O 0.6885 0.1600 0.7437
O 0.8501 0.3072 0.5312
O 0.1601 0.4694 0.2562
O 0.1381 0.4933 0.5771
O 0.5306 0.6907 0.2562
O 0.1601 0.6907 0.7562
O 0.3552 0.4933 0.0771
O 0.5067 0.6448 0.5771
O 0.1479 0.4526 0.9699
O 0.8807 0.3619 0.6366
O 0.4571 0.1499 0.5312
O 0.5067 0.8619 0.0771
O 0.5306 0.8399 0.7562
O 0.8400 0.5285 0.7437
Sc 0.6667 0.3333 0.9814
Sc 0.6667 0.3333 0.4814
Sc 0.0000 0.0000 0.6480
Sc 0.0000 0.0000 0.1480
Sc 0.3333 0.6667 0.3147
Sc 0.3333 0.6667 0.8147
Na 0.6667 0.3333 0.3308
Na 0.3333 0.6667 0.1642
Na 0.3333 0.6667 0.6642
Na 0.6667 0.3333 0.8308
Na 0.0000 0.0000 0.4975
Na 0.0000 0.0000 0.9975
Zn 0.0000 0.0000 0.8498
Zn 0.6667 0.3333 0.1832
Zn 0.3333 0.6667 0.0165
Zn 0.6667 0.3333 0.6832
Zn 0.3333 0.6667 0.5165
Zn 0.0000 0.0000 0.3498


A plane-wave DFT calculation with PBE-GGA was carried out for crystalline Na2SiS6O21 at its relaxed geometry.

Energy relative to the elements   -1.95 eV per atom
Magnetic moment   0.0 μB per formula unit

Cell lengths 9.7366, 12.9690, 14.7269 Å; angles 90.00, 90.00, 90.00 degrees
Atoms (fractional coordinates):
O 0.0689 0.6077 0.3426
O 0.1851 0.6181 0.7259
O 0.9271 0.1057 0.6226
O 0.6100 0.1699 0.8534
O 0.0640 0.1170 0.7690
O 0.1883 0.9186 0.2589
O 0.0582 0.4516 0.6756
O 0.8900 0.8301 0.3534
O 0.1575 0.1512 0.5663
O 0.0460 0.6548 0.0347
O 0.6765 0.5067 0.1254
O 0.9478 0.3113 0.9374
O 0.2592 0.9186 0.5806
O 0.3235 0.0067 0.3746
O 0.5642 0.5521 0.3224
O 0.3117 0.0814 0.7589
O 0.9700 0.0562 0.9612
O 0.1765 0.9933 0.8746
O 0.6883 0.5814 0.7411
O 0.9311 0.1077 0.1574
O 0.2408 0.0814 0.0806
O 0.6982 0.0505 0.1823
O 0.0642 0.9479 0.6776
O 0.6851 0.8819 0.2741
O 0.1028 0.3562 0.3131
O 0.5582 0.0484 0.3244
O 0.4418 0.5484 0.1756
O 0.5689 0.8923 0.6574
O 0.9540 0.1548 0.4653
O 0.3972 0.6438 0.8131
O 0.0729 0.6057 0.8774
O 0.6575 0.3488 0.4337
O 0.9581 0.4893 0.9865
O 0.8018 0.9495 0.6823
O 0.5300 0.9438 0.4612
O 0.7991 0.1816 0.2847
O 0.7009 0.8184 0.7847

Next, repeat everything above word for word.

A plane-wave DFT calculation with PBE-GGA was carried out for crystalline NaScZnS3O12 at its relaxed geometry.

Energy relative to the elements   -2.27 eV per atom
Magnetic moment   0.0 μB per formula unit

Cell lengths 8.7351, 8.7351, 22.9569 Å; angles 90.00, 90.00, 120.00 degrees
Atoms (fractional coordinates):
S 0.6635 0.6246 0.5839
S 0.9969 0.2912 0.2506
S 0.9610 0.3365 0.5839
S 0.6635 0.0390 0.0839
S 0.3302 0.3723 0.4173
S 0.3302 0.9579 0.9173
S 0.9610 0.6246 0.0839
S 0.7088 0.7056 0.2506
S 0.3754 0.3365 0.0839
S 0.2944 0.2912 0.7506
S 0.6277 0.6698 0.9173
S 0.0421 0.3723 0.9173
S 0.2944 0.0031 0.2506
S 0.7088 0.0031 0.7506
S 0.9969 0.7056 0.7506
S 0.6277 0.9579 0.4173
S 0.0421 0.6698 0.4173
S 0.3754 0.0390 0.5839
O 0.2140 0.1854 0.8032
O 0.3047 0.8521 0.9699
O 0.7904 0.8165 0.1978
O 0.9760 0.1733 0.5895
O 0.8146 0.7860 0.3032
O 0.5474 0.8521 0.4699
O 0.0261 0.2096 0.1978
O 0.6885 0.5285 0.2437
O 0.8400 0.3115 0.2437
O 0.2140 0.0286 0.3032
O 0.8048 0.8266 0.9104
O 0.3595 0.8763 0.8645
O 0.4812 0.3619 0.1366
O 0.9714 0.1854 0.3032
O 0.6928 0.1499 0.0312
O 0.3595 0.4832 0.3645
O 0.3093 0.4694 0.7562
O 0.6427 0.1361 0.4228
O 0.8267 0.8028 0.5895
O 0.0261 0.8165 0.6978
O 0.4715 0.3115 0.7437
O 0.4934 0.1361 0.9228
O 0.5168 0.8763 0.3645
O 0.1835 0.9739 0.1978
O 0.8501 0.5429 0.0312
O 0.4934 0.3573 0.4228
O 0.8639 0.3573 0.9228
O 0.4812 0.1193 0.6366
O 0.5474 0.6953 0.9699
O 0.3047 0.4526 0.4699
O 0.9714 0.7860 0.8032
O 0.1972 0.1733 0.0895
O 0.6427 0.5066 0.9228
O 0.8146 0.0286 0.8032
O 0.8048 0.9782 0.4104
O 0.1381 0.6448 0.0771
O 0.8267 0.0240 0.0895
O 0.1734 0.1952 0.4104
O 0.4715 0.1600 0.2437
O 0.9760 0.8028 0.0895
O 0.4571 0.3072 0.0312
O 0.5168 0.6405 0.8645
O 0.8639 0.5066 0.4228
O 0.1835 0.2096 0.6978
O 0.8807 0.5188 0.1366
O 0.1972 0.0240 0.5895
O 0.0218 0.1952 0.9104
O 0.6381 0.5188 0.6366
O 0.1734 0.9782 0.9104
O 0.7904 0.9739 0.6978
O 0.3093 0.8399 0.2562
O 0.1237 0.4832 0.8645
O 0.6928 0.5429 0.5312
O 0.1479 0.6953 0.4699
O 0.6381 0.1193 0.1366
O 0.0218 0.8266 0.4104
O 0.1237 0.6405 0.3645
O 0.3552 0.8619 0.5771
O 0.6885 0.1600 0.7437
O 0.8501 0.3072 0.5312
O 0.1601 0.4694 0.2562
O 0.1381 0.4933 0.5771
O 0.5306 0.6907 0.2562
O 0.1601 0.6907 0.7562
O 0.3552 0.4933 0.0771
O 0.5067 0.6448 0.5771
O 0.1479 0.4526 0.9699
O 0.8807 0.3619 0.6366
O 0.4571 0.1499 0.5312
O 0.5067 0.8619 0.0771
O 0.5306 0.8399 0.7562
O 0.8400 0.5285 0.7437
Sc 0.6667 0.3333 0.9814
Sc 0.6667 0.3333 0.4814
Sc 0.0000 0.0000 0.6480
Sc 0.0000 0.0000 0.1480
Sc 0.3333 0.6667 0.3147
Sc 0.3333 0.6667 0.8147
Na 0.6667 0.3333 0.3308
Na 0.3333 0.6667 0.1642
Na 0.3333 0.6667 0.6642
Na 0.6667 0.3333 0.8308
Na 0.0000 0.0000 0.4975
Na 0.0000 0.0000 0.9975
Zn 0.0000 0.0000 0.8498
Zn 0.6667 0.3333 0.1832
Zn 0.3333 0.6667 0.0165
Zn 0.6667 0.3333 0.6832
Zn 0.3333 0.6667 0.5165
Zn 0.0000 0.0000 0.3498


A plane-wave DFT calculation with PBE-GGA was carried out for crystalline Na2SiS6O21 at its relaxed geometry.

Energy relative to the elements   -1.95 eV per atom
Magnetic moment   0.0 μB per formula unit

Cell lengths 9.7366, 12.9690, 14.7269 Å; angles 90.00, 90.00, 90.00 degrees
Atoms (fractional coordinates):
O 0.0689 0.6077 0.3426
O 0.1851 0.6181 0.7259
O 0.9271 0.1057 0.6226
O 0.6100 0.1699 0.8534
O 0.0640 0.1170 0.7690
O 0.1883 0.9186 0.2589
O 0.0582 0.4516 0.6756
O 0.8900 0.8301 0.3534
O 0.1575 0.1512 0.5663
O 0.0460 0.6548 0.0347
O 0.6765 0.5067 0.1254
O 0.9478 0.3113 0.9374
O 0.2592 0.9186 0.5806
O 0.3235 0.0067 0.3746
O 0.5642 0.5521 0.3224
O 0.3117 0.0814 0.7589
O 0.9700 0.0562 0.9612
O 0.1765 0.9933 0.8746
O 0.6883 0.5814 0.7411
O 0.9311 0.1077 0.1574
O 0.2408 0.0814 0.0806
O 0.6982 0.0505 0.1823
O 0.0642 0.9479 0.6776
O 0.6851 0.8819 0.2741
O 0.1028 0.3562 0.3131
O 0.5582 0.0484 0.3244
O 0.4418 0.5484 0.1756
O 0.5689 0.8923 0.6574
O 0.9540 0.1548 0.4653
O 0.3972 0.6438 0.8131
O 0.0729 0.6057 0.8774
O 0.6575 0.3488 0.4337
O 0.9581 0.4893 0.9865
O 0.8018 0.9495 0.6823
O 0.5300 0.9438 0.4612
O 0.7991 0.1816 0.2847
O 0.7009 0.8184 0.7847